-- begin --
# 1
LaP | meta-GGA r2SCAN | optimized geometry

Its space-group type is Fm-3m, No. 225. The uncorrected energy comes out at -21.19 eV per atom. Its formation energy is -1.816 eV per atom.

Cell: 4.290 4.290 4.290 Å, 60.00 60.00 60.00°
Positions (direct):
La  0.000  0.000  0.000
P  0.500  0.500  0.500

---

# 2
La6P17Pd6 | meta-GGA r2SCAN | optimized geometry

Its space-group type is I-43m, No. 217. The uncorrected energy comes out at -17.22 eV per atom. Its formation energy is -1.037 eV per atom.

Cell: 9.067 9.067 9.067 Å, 109.47 109.47 109.47°
Positions (direct):
La  0.000  0.286  0.286
La  0.000  0.714  0.714
La  0.286  0.000  0.286
La  0.286  0.286  0.000
La  0.714  0.000  0.714
La  0.714  0.714  0.000
P  0.000  0.000  0.000
P  0.000  0.000  0.563
P  0.000  0.363  0.780
P  0.000  0.563  0.000
P  0.000  0.780  0.363
P  0.220  0.220  0.582
P  0.220  0.582  0.220
P  0.363  0.000  0.780
P  0.363  0.780  0.000
P  0.418  0.637  0.637
P  0.437  0.437  0.437
P  0.563  0.000  0.000
P  0.582  0.220  0.220
P  0.637  0.418  0.637
P  0.637  0.637  0.418
P  0.780  0.000  0.363
P  0.780  0.363  0.000
Pd  0.250  0.500  0.750
Pd  0.250  0.750  0.500
Pd  0.500  0.250  0.750
Pd  0.500  0.750  0.250
Pd  0.750  0.250  0.500
Pd  0.750  0.500  0.250

---

# 3
La3P6Pd20 | meta-GGA r2SCAN | optimized geometry

Its space-group type is Fm-3m, No. 225. The uncorrected energy comes out at -21.51 eV per atom. Its formation energy is -0.731 eV per atom.

Cell: 8.728 8.728 8.728 Å, 60.00 60.00 60.00°
Positions (direct):
La  0.000  0.000  0.000
La  0.250  0.250  0.250
La  0.750  0.750  0.750
P  0.264  0.264  0.736
P  0.264  0.736  0.264
P  0.264  0.736  0.736
P  0.736  0.264  0.264
P  0.736  0.264  0.736
P  0.736  0.736  0.264
Pd  0.000  0.000  0.347
Pd  0.000  0.000  0.653
Pd  0.000  0.347  0.000
Pd  0.000  0.347  0.653
Pd  0.000  0.653  0.000
Pd  0.000  0.653  0.347
Pd  0.159  0.614  0.614
Pd  0.347  0.000  0.000
Pd  0.347  0.000  0.653
Pd  0.347  0.653  0.000
Pd  0.386  0.386  0.386
Pd  0.386  0.386  0.841
Pd  0.386  0.841  0.386
Pd  0.614  0.159  0.614
Pd  0.614  0.614  0.159
Pd  0.614  0.614  0.614
Pd  0.653  0.000  0.000
Pd  0.653  0.000  0.347
Pd  0.653  0.347  0.000
Pd  0.841  0.386  0.386

---

# 4
La4P9Rh8 | meta-GGA r2SCAN | optimized geometry

Its space-group type is Cmcm, No. 63. The uncorrected energy comes out at -19.93 eV per atom. Its formation energy is -1.208 eV per atom.

Cell: 11.531 11.531 5.793 Å, 90.00 90.00 111.02°
Positions (direct):
La  0.112  0.888  0.750
La  0.139  0.410  0.750
La  0.360  0.640  0.250
La  0.410  0.139  0.250
La  0.590  0.861  0.750
La  0.640  0.360  0.750
La  0.861  0.590  0.250
La  0.888  0.112  0.250
P  0.016  0.143  0.750
P  0.117  0.635  0.002
P  0.117  0.635  0.498
P  0.143  0.016  0.250
P  0.212  0.353  0.250
P  0.353  0.212  0.750
P  0.365  0.883  0.002
P  0.365  0.883  0.498
P  0.427  0.573  0.750
P  0.573  0.427  0.250
P  0.635  0.117  0.502
P  0.635  0.117  0.998
P  0.647  0.788  0.250
P  0.788  0.647  0.750
P  0.857  0.984  0.750
P  0.883  0.365  0.502
P  0.883  0.365  0.998
P  0.984  0.857  0.250
Rh  0.060  0.454  0.250
Rh  0.181  0.181  0.000
Rh  0.181  0.181  0.500
Rh  0.184  0.816  0.250
Rh  0.291  0.709  0.750
Rh  0.394  0.394  0.000
Rh  0.394  0.394  0.500
Rh  0.454  0.060  0.750
Rh  0.546  0.940  0.250
Rh  0.606  0.606  0.000
Rh  0.606  0.606  0.500
Rh  0.709  0.291  0.250
Rh  0.816  0.184  0.750
Rh  0.819  0.819  0.000
Rh  0.819  0.819  0.500
Rh  0.940  0.546  0.750

---

# 5
LaP2Rh2 | meta-GGA r2SCAN | optimized geometry

Its space-group type is P4/nmm, No. 129. The uncorrected energy comes out at -20.43 eV per atom. Its formation energy is -1.225 eV per atom.

Cell: 4.198 4.198 9.616 Å, 90.00 90.00 90.00°
Positions (direct):
La  0.250  0.250  0.243
La  0.750  0.750  0.757
P  0.250  0.250  0.638
P  0.250  0.750  0.000
P  0.750  0.250  0.000
P  0.750  0.750  0.362
Rh  0.250  0.250  0.890
Rh  0.250  0.750  0.500
Rh  0.750  0.250  0.500
Rh  0.750  0.750  0.110

---

# 6
-- stop --

What is needed: retype the lines earlier on word for word.

# 1
LaP | meta-GGA r2SCAN | optimized geometry

Its space-group type is Fm-3m, No. 225. The uncorrected energy comes out at -21.19 eV per atom. Its formation energy is -1.816 eV per atom.

Cell: 4.290 4.290 4.290 Å, 60.00 60.00 60.00°
Positions (direct):
La  0.000  0.000  0.000
P  0.500  0.500  0.500

---

# 2
La6P17Pd6 | meta-GGA r2SCAN | optimized geometry

Its space-group type is I-43m, No. 217. The uncorrected energy comes out at -17.22 eV per atom. Its formation energy is -1.037 eV per atom.

Cell: 9.067 9.067 9.067 Å, 109.47 109.47 109.47°
Positions (direct):
La  0.000  0.286  0.286
La  0.000  0.714  0.714
La  0.286  0.000  0.286
La  0.286  0.286  0.000
La  0.714  0.000  0.714
La  0.714  0.714  0.000
P  0.000  0.000  0.000
P  0.000  0.000  0.563
P  0.000  0.363  0.780
P  0.000  0.563  0.000
P  0.000  0.780  0.363
P  0.220  0.220  0.582
P  0.220  0.582  0.220
P  0.363  0.000  0.780
P  0.363  0.780  0.000
P  0.418  0.637  0.637
P  0.437  0.437  0.437
P  0.563  0.000  0.000
P  0.582  0.220  0.220
P  0.637  0.418  0.637
P  0.637  0.637  0.418
P  0.780  0.000  0.363
P  0.780  0.363  0.000
Pd  0.250  0.500  0.750
Pd  0.250  0.750  0.500
Pd  0.500  0.250  0.750
Pd  0.500  0.750  0.250
Pd  0.750  0.250  0.500
Pd  0.750  0.500  0.250

---

# 3
La3P6Pd20 | meta-GGA r2SCAN | optimized geometry

Its space-group type is Fm-3m, No. 225. The uncorrected energy comes out at -21.51 eV per atom. Its formation energy is -0.731 eV per atom.

Cell: 8.728 8.728 8.728 Å, 60.00 60.00 60.00°
Positions (direct):
La  0.000  0.000  0.000
La  0.250  0.250  0.250
La  0.750  0.750  0.750
P  0.264  0.264  0.736
P  0.264  0.736  0.264
P  0.264  0.736  0.736
P  0.736  0.264  0.264
P  0.736  0.264  0.736
P  0.736  0.736  0.264
Pd  0.000  0.000  0.347
Pd  0.000  0.000  0.653
Pd  0.000  0.347  0.000
Pd  0.000  0.347  0.653
Pd  0.000  0.653  0.000
Pd  0.000  0.653  0.347
Pd  0.159  0.614  0.614
Pd  0.347  0.000  0.000
Pd  0.347  0.000  0.653
Pd  0.347  0.653  0.000
Pd  0.386  0.386  0.386
Pd  0.386  0.386  0.841
Pd  0.386  0.841  0.386
Pd  0.614  0.159  0.614
Pd  0.614  0.614  0.159
Pd  0.614  0.614  0.614
Pd  0.653  0.000  0.000
Pd  0.653  0.000  0.347
Pd  0.653  0.347  0.000
Pd  0.841  0.386  0.386

---

# 4
La4P9Rh8 | meta-GGA r2SCAN | optimized geometry

Its space-group type is Cmcm, No. 63. The uncorrected energy comes out at -19.93 eV per atom. Its formation energy is -1.208 eV per atom.

Cell: 11.531 11.531 5.793 Å, 90.00 90.00 111.02°
Positions (direct):
La  0.112  0.888  0.750
La  0.139  0.410  0.750
La  0.360  0.640  0.250
La  0.410  0.139  0.250
La  0.590  0.861  0.750
La  0.640  0.360  0.750
La  0.861  0.590  0.250
La  0.888  0.112  0.250
P  0.016  0.143  0.750
P  0.117  0.635  0.002
P  0.117  0.635  0.498
P  0.143  0.016  0.250
P  0.212  0.353  0.250
P  0.353  0.212  0.750
P  0.365  0.883  0.002
P  0.365  0.883  0.498
P  0.427  0.573  0.750
P  0.573  0.427  0.250
P  0.635  0.117  0.502
P  0.635  0.117  0.998
P  0.647  0.788  0.250
P  0.788  0.647  0.750
P  0.857  0.984  0.750
P  0.883  0.365  0.502
P  0.883  0.365  0.998
P  0.984  0.857  0.250
Rh  0.060  0.454  0.250
Rh  0.181  0.181  0.000
Rh  0.181  0.181  0.500
Rh  0.184  0.816  0.250
Rh  0.291  0.709  0.750
Rh  0.394  0.394  0.000
Rh  0.394  0.394  0.500
Rh  0.454  0.060  0.750
Rh  0.546  0.940  0.250
Rh  0.606  0.606  0.000
Rh  0.606  0.606  0.500
Rh  0.709  0.291  0.250
Rh  0.816  0.184  0.750
Rh  0.819  0.819  0.000
Rh  0.819  0.819  0.500
Rh  0.940  0.546  0.750

---

# 5
LaP2Rh2 | meta-GGA r2SCAN | optimized geometry

Its space-group type is P4/nmm, No. 129. The uncorrected energy comes out at -20.43 eV per atom. Its formation energy is -1.225 eV per atom.

Cell: 4.198 4.198 9.616 Å, 90.00 90.00 90.00°
Positions (direct):
La  0.250  0.250  0.243
La  0.750  0.750  0.757
P  0.250  0.250  0.638
P  0.250  0.750  0.000
P  0.750  0.250  0.000
P  0.750  0.750  0.362
Rh  0.250  0.250  0.890
Rh  0.250  0.750  0.500
Rh  0.750  0.250  0.500
Rh  0.750  0.750  0.110

---

# 6